Some things to think about here. I’ve often half-joked that all I’ve ever wanted was for someone to PROVE to me that money can’t make me happy. But the real truth is, maximizing your happiness isn’t about how much you money you have, but how you invest it to get more of the things and experiences that make you happy.
[Records of crystals, as found in the file]
/*
Computed, not measured: an optimized crystal structure of ScTe at the PBE-GGA level of DFT.

Cell and atoms, written as POSCAR:
```
ScTe
1.0
3.5648 1.9903 -0.7122
-3.5921 1.6952 -1.1831
-0.5352 3.1610 6.1543
Sc Te
2 2
Direct
0.0000 0.0000 0.0000
0.0000 0.0000 0.5000
0.3333 0.6667 0.2500
0.6667 0.3333 0.7500
```

raw total energy = -23.662 eV/cell
E_form = -1389 meV/atom

Computed, not measured: an optimized crystal structure of Sc3Te at the PBE-GGA level of DFT.

Cell and atoms, written as POSCAR:
```
Sc3Te
1.0
3.1808 -5.5094 0.0000
3.1808 5.5094 0.0000
0.0000 0.0000 5.1044
Sc Te
6 2
Direct
0.1671 0.3343 0.2500
0.6657 0.8329 0.2500
0.1671 0.8329 0.2500
0.8329 0.6657 0.7500
0.3343 0.1671 0.7500
0.8329 0.1671 0.7500
0.3333 0.6667 0.7500
0.6667 0.3333 0.2500
```

raw total energy = -47.665 eV/cell
E_form = -528 meV/atom
total moment = 0.1 μB per formula unit

Computed, not measured: an optimized crystal structure of ScTlTe2 at the PBE-GGA level of DFT.

Cell and atoms, written as POSCAR:
```
ScTlTe2
1.0
-0.5651 -4.1163 -0.9855
-3.1018 -1.1418 -2.7036
3.9363 -0.9642 -7.4811
Sc Tl Te
1 1 2
Direct
0.0000 0.0000 0.0000
0.5000 0.5000 0.5000
0.7341 0.7341 0.7977
0.2659 0.2659 0.2023
```

raw total energy = -18.679 eV/cell
E_form = -1135 meV/atom

Computed, not measured: an optimized crystal structure of ThSc3 at the PBE-GGA level of DFT.

Cell and atoms, written as POSCAR:
```
ThSc3
1.0
-3.0582 0.3313 4.8318
-3.4912 4.5059 -0.5630
0.8862 -4.4408 -3.5074
Th Sc
1 3
Direct
0.0000 0.0000 0.0000
0.7500 0.2500 0.5000
0.2500 0.7500 0.5000
0.5000 0.5000 0.0000
```

raw total energy = -26.266 eV/cell
E_form = 36 meV/atom

Computed, not measured: an optimized crystal structure of Sc3Tl at the PBE-GGA level of DFT.

Cell and atoms, written as POSCAR:
```
Sc3Tl
1.0
3.2153 -5.5691 0.0000
3.2153 5.5691 0.0000
0.0000 0.0000 5.2868
Sc Tl
6 2
Direct
0.1682 0.3363 0.2500
0.6637 0.8318 0.2500
0.1682 0.8318 0.2500
0.8318 0.6637 0.7500
0.3363 0.1682 0.7500
0.8318 0.1682 0.7500
0.3333 0.6667 0.7500
0.6667 0.3333 0.2500
```

raw total energy = -44.387 eV/cell
E_form = -208 meV/atom

Computed, not measured: an optimized crystal structure of Sc2TlZn at the PBE-GGA level of DFT.

Cell and atoms, written as POSCAR:
```
Sc2TlZn
1.0
0.0000 3.4911 3.4911
3.4911 0.0000 3.4911
3.4911 3.4911 0.0000
Sc Tl Zn
2 1 1
Direct
0.2500 0.2500 0.2500
0.7500 0.7500 0.7500
0.5000 0.5000 0.5000
0.0000 0.0000 0.0000
```

raw total energy = -17.518 eV/cell
E_form = -308 meV/atom

Computed, not measured: an optimized crystal structure of YScZn2 at the PBE-GGA level of DFT.

Cell and atoms, written as POSCAR:
```
YScZn2
1.0
0.0000 3.4794 3.4794
3.4794 0.0000 3.4794
3.4794 3.4794 0.0000
Y Sc Zn
1 1 2
Direct
0.0000 0.0000 0.0000
0.5000 0.5000 0.5000
0.2500 0.2500 0.2500
0.7500 0.7500 0.7500
```

raw total energy = -16.760 eV/cell
E_form = -360 meV/atom

Computed, not measured: an optimized crystal structure of ScZn12 at the PBE-GGA level of DFT.

Cell and atoms, written as POSCAR:
```
ScZn12
1.0
*/
More on Money and Happiness | Big Questions Online
**Someone pasted records of crystals at this point**
[1]
This record from the Materials Project describes a relaxed structure of SrZr4As6O24. The functional is PBE-GGA.

Calculated values
Spin magnetization   0.00 μB/f.u.
ΔH_f (0 K)   -2577 meV per atom
Uncorrected energy   -0.53819 Ry per atom

Cell: 9.1746 9.1746 9.6924 Å, 61.75 61.75 60.00°
Last column: nearest neighbours and their distance in Å.
Element x y z (fractional)
O  0.7319  0.6635  0.5882  1 As 1.71
O  0.9519  0.3104  0.7093  1 As 1.70
O  0.9716  0.0481  0.2907  1 As 1.70
O  0.3104  0.0284  0.7093  1 As 1.70
O  0.2440  0.5923  0.7579  1 As 1.73
Zr  0.1446  0.1446  0.5662  6 O 2.09-2.13
Zr  0.3535  0.3535  0.9394  6 O 2.05-2.17
As  0.5313  0.9625  0.2538  4 O 1.70-1.73
As  0.4687  0.0375  0.7462  4 O 1.70-1.73
As  0.9625  0.2525  0.2538  4 O 1.70-1.73
O  0.3365  0.9836  0.4118  1 As 1.71
O  0.0164  0.7319  0.5882  1 As 1.71
O  0.8764  0.6996  0.9276  1 As 1.71
O  0.9836  0.2681  0.4118  1 As 1.71
O  0.6996  0.4964  0.9276  1 As 1.71
O  0.0481  0.6896  0.2907  1 As 1.70
Zr  0.8554  0.8554  0.4338  6 O 2.09-2.13
As  0.2525  0.5313  0.2538  4 O 1.70-1.73
O  0.5036  0.1236  0.0724  1 As 1.71
O  0.2681  0.3365  0.4118  1 As 1.71
O  0.6896  0.9716  0.2907  1 As 1.70
O  0.3004  0.5036  0.0724  1 As 1.71
O  0.4077  0.5942  0.2421  1 As 1.73
O  0.0284  0.9519  0.7093  1 As 1.70
Zr  0.6465  0.6465  0.0606  6 O 2.05-2.17
As  0.0375  0.7475  0.7462  4 O 1.70-1.73
O  0.4964  0.8764  0.9276  1 As 1.71
O  0.6635  0.0164  0.5882  1 As 1.71
As  0.7475  0.4687  0.7462  4 O 1.70-1.73
O  0.5942  0.7560  0.2421  1 As 1.73
O  0.1236  0.3004  0.0724  1 As 1.71
Sr  0.5000  0.5000  0.5000  6 O 2.63
O  0.4058  0.2440  0.7579  1 As 1.73
O  0.5923  0.4058  0.7579  1 As 1.73
O  0.7560  0.4077  0.2421  1 As 1.73

[2]
This record from the Materials Project describes a relaxed structure of TaAsO5. The functional is PBE-GGA.

Calculated values
Energy above the most stable polymorph in this dataset   0 meV per atom
ΔH_f (0 K)   -2527 meV per atom
Uncorrected energy   -0.58286 Ry per atom

Cell: 5.5746 11.8215 6.9544 Å, 90.00 90.00 90.00°
Last column: nearest neighbours and their distance in Å.
Element x y z (fractional)
O  0.4973  0.1249  0.3447  1 As 1.69
As  0.7500  0.6537  0.0294  4 O 1.69-1.70
O  0.2500  0.2047  0.0171  1 As 1.70
O  0.0000  0.5000  0.5000  2 Ta 1.92
O  0.7500  0.7953  0.9829  1 As 1.70
O  0.5027  0.3751  0.8447  1 As 1.69
O  0.7500  0.0833  0.6846  1 As 1.70
O  0.5027  0.8751  0.6553  1 As 1.69
O  0.5000  0.5000  0.5000  2 Ta 1.92
O  0.2500  0.7047  0.4829  1 As 1.70
O  0.4973  0.6249  0.1553  1 As 1.69
O  0.0027  0.1249  0.3447  1 As 1.69
Ta  0.2500  0.5597  0.3402  6 O 1.92-2.04
O  0.9973  0.3751  0.8447  1 As 1.69
O  0.7500  0.5833  0.8154  1 As 1.70
O  0.7500  0.2953  0.5171  1 As 1.70
O  0.2500  0.4167  0.1846  1 As 1.70
Ta  0.7500  0.4403  0.6598  6 O 1.92-2.04
[Elizabeth] Dunn is a social psychologist at the University of British Columbia, and in a new paper, she’s teamed up with Dan Gilbert of Harvard University and Timothy Wilson of the University of Virginia to show us how we can spend our money to better maximize our happiness.
According to them, money “can buy many, if not most, if not all of the things that make people happy, and if it doesn’t, then the fault is ours.” Because, they say, we’re not spending it right.
The problem, they argue, is that:
**Unrelated to this piece: data records**
/*
[1]
# LiCo2OF5

Crystalline LiCo2OF5 at its relaxed geometry (PBE with a Hubbard U, Materials Project).

Geometry as POSCAR:
```
LiCo2OF5
1.0
3.236 3.239 0.000
-3.236 3.239 0.000
0.000 0.344 18.365
Li Co O F
4 8 4 20
Direct
0.994 0.986 0.000 Li
0.986 0.994 0.500 Li
0.496 0.514 0.750 Li
0.514 0.496 0.250 Li
0.008 0.010 0.664 Co
0.977 0.029 0.833 Co
0.029 0.977 0.333 Co
0.010 0.008 0.164 Co
0.491 0.507 0.414 Co
0.507 0.491 0.914 Co
0.474 0.478 0.583 Co
0.478 0.474 0.083 Co
0.203 0.206 0.591 O
0.206 0.203 0.091 O
0.300 0.706 0.341 O
0.706 0.300 0.841 O
0.209 0.200 0.916 F
0.198 0.201 0.749 F
0.200 0.209 0.416 F
0.201 0.198 0.249 F
0.313 0.684 0.995 F
0.292 0.714 0.835 F
0.300 0.709 0.166 F
0.300 0.698 0.500 F
0.297 0.711 0.666 F
0.698 0.300 0.000 F
0.709 0.300 0.666 F
0.684 0.313 0.495 F
0.711 0.297 0.166 F
0.714 0.292 0.335 F
0.814 0.817 0.746 F
0.799 0.788 0.915 F
0.787 0.791 0.586 F
0.788 0.799 0.415 F
0.817 0.814 0.246 F
0.791 0.787 0.086 F
```

Computed properties:
Its space-group type is Cc, No. 9. The value obtained for the formation energy is -19.58 eV per formula unit.

[2]
# Li4Co2OF7

Crystalline Li4Co2OF7 at its relaxed geometry (PBE with a Hubbard U, Materials Project).

Geometry as POSCAR:
```
Li4Co2OF7
1.0
-2.019 -4.953 2.651
-5.175 2.810 1.095
-2.905 -2.693 -7.393
Li Co O F
8 4 2 14
Direct
0.995 0.999 0.003 Li
0.495 0.499 0.503 Li
0.515 0.995 0.245 Li
0.015 0.495 0.745 Li
0.748 0.997 0.627 Li
0.248 0.497 0.127 Li
0.000 0.256 0.372 Li
0.500 0.756 0.872 Li
0.506 0.256 0.894 Co
0.732 0.482 0.119 Co
0.006 0.756 0.393 Co
0.232 0.982 0.619 Co
0.005 0.763 0.616 O
0.504 0.263 0.116 O
0.245 0.008 0.373 F
0.745 0.508 0.874 F
0.262 0.001 0.869 F
0.761 0.501 0.369 F
0.483 0.228 0.645 F
0.983 0.728 0.145 F
0.492 0.773 0.627 F
0.992 0.273 0.127 F
0.732 0.013 0.868 F
0.232 0.513 0.368 F
0.777 0.998 0.379 F
0.277 0.498 0.879 F
0.010 0.231 0.613 F
0.510 0.731 0.113 F
```

Computed properties:
The value obtained for the formation energy is -36.88 eV per formula unit.

[3]
# Li4Co2OF7

Crystalline Li4Co2OF7 at its relaxed geometry (PBE with a Hubbard U, Materials Project).

Geometry as POSCAR:
```
Li4Co2OF7
1.0
0.400 0.084 6.017
4.538 2.040 -3.342
-0.496 5.090 -3.068
Li Co O F
4 2 1 7
Direct
0.987 0.000 0.981 Li
0.764 0.251 0.267 Li
0.373 0.623 0.124 Li
0.381 0.124 0.633 Li
0.857 0.648 0.604 Co
0.380 0.633 0.615 Co
0.636 0.841 0.407 O
0.628 0.370 0.867 F
0.125 0.873 0.388 F
0.113 0.410 0.843 F
0.127 0.858 0.867 F
0.595 0.856 0.866 F
0.156 0.381 0.394 F
0.629 0.383 0.393 F
```

Computed properties:
Its space-group type is P1, No. 1. The value obtained for the formation energy is -37.01 eV per formula unit.

[4]
# Li8CoO5F

Crystalline Li8CoO5F at its relaxed geometry (PBE with a Hubbard U, Materials Project).

Geometry as POSCAR:
```
Li8CoO5F
1.0
5.290 0.212 -0.206
-0.277 2.968 10.128
2.465 -4.848 0.050
Li Co O F
16 2 10 2
Direct
0.921 0.184 0.470 Li
0.433 0.677 0.479 Li
0.197 0.332 0.228 Li
0.703 0.830 0.235 Li
0.912 0.324 0.883 Li
*/
**Back to the piece**
Most people don’t know the basic scientific facts about happiness—about what brings it and what sustains it—and so they don’t know how to use their money to acquire it. … Money is an opportunity for happiness, but it is an opportunity that people routinely squander because the things they think will make them happy often don’t.
Interesting article. Thanks for passing it along.
Hmmm. This sounds, at first blush, like a “blame the victim” issue. I have not yet read the entire article, however. I just hope it addresses the fact that some (fairly large) chunk of society is busy down at Maslow’s first level, survival. And being happy while trying to eke out a survivable existence is a much bigger job than being happy while you have a secure shelter & clothing, secure food supply, and secure healthcare.
Here’s my take….
Happiness is wanting what you have…
Success is getting what you want…
You may also find this TED talk interesting. Barry and I had a fun discussion about this concept (as discussed in the talk) at OVFF
I start to get seriously suspicious whenever I hear phrases like “basic scientific facts about happiness”.
Largely because I am not remotely convinced that there are any.
Ditto, and having looked through her article I’m not convinced that she has any (“basic scientific facts about happiness”) either. Rating things on a scale is all very well, but it is completely subjective and what makes one person (or a particular group) happy may be a definite turn-off for others. For instance, reading and listening to music came low on the “positive happiness” scale in her research; I guess she didn’t ask many filkers. But “making love” scored highly (ya think?), perhaps the hippies had the right idea…
I also thought that it seemed a “blame the victim” approach — if you aren’t happy, it’s your own fault. Yes, simple: if they only wanted less and spent their money more wisely everyone would be happy. No one actually needs things like a lover or a house or food anyway, right?
Some of the things seem to contradict each other. On one hand, go for experiences rather than things (hmm, perhaps I should pay a visit to the “red light” district rather than buying a new hard drive for doing backups?), on another buy things like lattes and chocolate every day instead of saving up for a “big thing” like a filkcon.
There are other things she seemed not to notice, like “only compare yourself to yourself” (e.g. if I get a new car all that should matter is that it’s better than the old one and fit for my purpose, not whether it is better than the one next door). And that a lot of the reasons why filthy rich people are not much happier than those who are ‘comfortable’ are to do with responsibilities and fear of losing it (as Jubal Harshaw said in “Stranger in a Strange Land”, if you are really rich you worry about people breaking in, your kids being kidnapped for ransom, etc., as well as losing your money in a stock market crash and the like).
Scientific facts about happiness? Gee, that sounds cold. There are some things in that article that I agree with, but I mostly disagree with its whole tone and attitude.
Money can’t really buy happiness, but a lack of money tends to lead to unhappiness. Happiness comes from within and not being secure in having the basic necessities often prevents people from being able to generate happiness. So do brain chemistry issues like clinical depression. Once people have enough money to not have to worry about basic needs, I believe that the way they think is the more important factor. That can affect how they choose to spend their money, but I think putting the blame on how they spend their money once their basic needs are met is confusing cause and affect to some extent and it is largely avoiding the real issue of why people are still unhappy after spending their money the way they choose.
I’ve been intending to make a post about my ideas on how to be happy for quite some time now. Maybe I’ll get around to doing it soon.